• Entries:
____________
Entry 1:
Material: Nb4CrSi3
Method: DFT, PBE
State: relaxed

CIF file:
```
data_Nb4CrSi3
_space_group_name_H-M_alt 'I 4/m c m'
_space_group_IT_number 140
_space_group_name_Hall '-I 4 2c'
_cell_length_a 9.946
_cell_length_b 9.946
_cell_length_c 4.950
_cell_angle_alpha 90.00
_cell_angle_beta 90.00
_cell_angle_gamma 90.00
loop_
_atom_site_label
_atom_site_type_symbol
_atom_site_fract_x
_atom_site_fract_y
_atom_site_fract_z
Nb1 Nb 0.081 0.221 0.000
Cr1 Cr 0.000 0.500 0.250
Si1 Si 0.000 0.000 0.250
Si2 Si 0.154 0.346 0.500
```

Output
MP2020-corrected energy: -8.854 eV per atom
E_tot: -8.881 eV/atom
Total magnetic moment: 0.3 Bohr magnetons per cell
Formation enthalpy at 0 K: -0.56 eV per atom

Entry 2:
Material: Cd4FeS5
Method: DFT, PBE
State: relaxed

CIF file:
```
data_Cd4FeS5
_space_group_name_H-M_alt 'C 1 m 1'
_space_group_IT_number 8
_space_group_name_Hall 'C -2y'
_cell_length_a 35.654
_cell_length_b 4.147
_cell_length_c 6.795
_cell_angle_alpha 90.00
_cell_angle_beta 90.73
_cell_angle_gamma 90.00
loop_
_atom_site_label
_atom_site_type_symbol
_atom_site_fract_x
_atom_site_fract_y
_atom_site_fract_z
Cd1 Cd 0.000 0.000 0.000
Cd2 Cd 0.032 0.500 0.495
Cd3 Cd 0.102 0.500 0.998
Cd4 Cd 0.135 0.000 0.497
Cd5 Cd 0.202 0.000 0.998
Cd6 Cd 0.239 0.500 0.496
Cd7 Cd 0.304 0.500 0.003
Cd8 Cd 0.402 0.000 0.004
Fe1 Fe 0.338 0.000 0.495
Fe2 Fe 0.431 0.500 0.501
S1 S 0.034 0.500 0.875
S2 S 0.100 0.500 0.376
S3 S 0.135 0.000 0.874
S4 S 0.203 0.000 0.376
S5 S 0.236 0.500 0.876
S6 S 0.309 0.500 0.388
S7 S 0.335 0.000 0.846
S8 S 0.402 0.000 0.389
S9 S 0.434 0.500 0.848
S10 S 0.494 0.500 0.380
```

Output
MP2020-corrected energy: -3.987 eV per atom
E_tot: -3.736 eV/atom
Total magnetic moment: 16.0 Bohr magnetons per cell
Formation enthalpy at 0 K: -0.70 eV per atom

* * * * *

Here is crystalline Li7Cu6O12 at its relaxed geometry from the Materials Project. Energies are from PBE-GGA.

```
Li7Cu6O12
1.0
5.213 0.000 0.000
-1.167 6.757 0.000
-2.195 -2.044 7.692
Li Cu O
7 6 12
Cartesian
0.000 0.000 0.000
-0.737 -0.597 2.550
-1.974 0.704 7.022
-1.243 1.395 4.461
3.094 3.317 3.232
3.825 4.008 0.670
2.588 5.309 5.142
-0.453 3.398 6.687
1.039 4.784 1.590
0.314 4.111 4.134
1.537 0.601 3.559
0.812 -0.071 6.102
2.303 1.314 1.006
-0.481 4.121 2.444
-1.154 3.312 4.947
-1.891 2.587 7.580
0.012 -0.083 4.410
-0.695 -0.753 6.988
0.852 0.491 1.838
0.999 4.221 5.855
2.545 5.466 0.704
1.839 4.795 3.282
3.742 2.125 0.112
3.005 1.401 2.745
2.331 0.592 5.248
```

## Properties
Energy in eV per formula unit: -126.1
Formation energy in eV per atom: -1.48
Spin magnetization in μB/f.u.: 0.291
Calculated volume in Å³ per atom: 10.84
SG: P-1, No. 2

***

Here is crystalline Sr5U5O19 at its relaxed geometry from the Materials Project. Energies are from PBE-GGA.

```
Sr5U5O19
1.0
6.366 -2.007 0.000
6.366 2.007 0.000
-3.284 0.000 16.886
Sr U O
5 5 19
Cartesian
0.000 0.000 0.000
1.133 0.000 6.769
2.349 0.000 13.495
6.707 0.000 3.360
8.117 0.000 10.146
-1.137 0.000 11.807
3.436 0.000 1.547
4.648 0.000 8.510
5.832 0.000 15.088
10.375 0.000 5.253
-0.426 0.000 4.726
1.480 0.000 2.154
-0.242 0.000 13.939
-0.699 0.000 16.404
0.830 0.000 11.446
2.675 0.000 8.819
4.067 0.000 3.634
3.744 0.000 6.270
5.451 0.000 1.190
3.898 0.000 15.513
4.953 0.000 13.022
5.519 0.000 10.601
6.609 0.000 8.087
8.386 0.000 5.337
9.969 0.000 0.867
7.804 0.000 14.901
9.628 0.000 12.203
10.714 0.000 9.697
11.274 0.000 7.266
```

## Properties
Energy in eV per formula unit: -252.4
ΔE to the lowest computed polymorph in eV/atom: 0.031
Formation energy in eV per atom: -3.67
Spin magnetization in μB/f.u.: 1.999
Calculated volume in Å³ per atom: 14.88
SG: Cm, No. 8

***

Here is crystalline SmU2Se5 at its relaxed geometry from the Materials Project. Energies are from PBE-GGA.

```
SmU2Se5
1.0
12.319 0.000 0.000
0.000 7.775 0.000
0.000 0.000 8.303
Sm U Se
4 8 20
Cartesian
2.212 0.197 0.000
3.948 4.085 4.151
8.372 3.690 0.000
10.107 7.577 4.151
0.088 4.481 6.194
2.212 0.183 4.133
3.948 4.070 8.285
6.071 0.593 2.043
____________

• Request:
Search the data further above for the word "SG" and transcribe each line that has it, please.

• Done:
SG: P-1, No. 2
SG: Cm, No. 8